Can dogs eat apples? Yes, apples are safe and nutritious for dogs. These fruits are full of nutrients that can be beneficial to your dog’s health, but there are some dangers to look out for, such as cores and seeds. With proper preparation and moderation, however, apples are perfectly safe for dogs to eat.
That being said, it’s a good rule of thumb to seek guidance from your veterinarian before introducing any human food to your dog. Here’s everything you should consider before treating your pup to a delicious apple snack.
Are Apples Good For Dogs?

Attached: calculated crystals.
____________
DFT (PBE-GGA) results for an optimized crystal structure of La4IrCBr2.

Cell: 7.110 4.088 8.006 Å, 90.00 106.21 90.00°
Space group P2/m (No. 10)
Inequivalent atoms, fractional coordinates:
La 0.218 0.000 0.184 [2 per cell]
La 0.243 0.500 0.806 [2 per cell]
Ir 0.500 0.000 0.000 [1 per cell]
C 0.000 0.500 0.000 [1 per cell]
Br 0.000 0.000 0.500 [1 per cell]
Br 0.500 0.500 0.500 [1 per cell]

Values from the calculation:
Calculated volume: 223.5 Å³/cell
Fermi-level density of states: 0.88 states/eV/atom
Theoretical density: 6.8 g cm⁻³
Uncorrected energy: -6.13 eV per atom



DFT (PBE-GGA) results for an optimized crystal structure of Nd8Ir3CBr3.

Cell: 14.290 8.255 9.025 Å, 90.00 121.89 90.00°
Space group C2/m (No. 12)
Inequivalent atoms, fractional coordinates:
Nd 0.017 0.236 0.315 [8 per cell]
Nd 0.219 0.000 0.685 [4 per cell]
Nd 0.233 0.500 0.700 [4 per cell]
Ir 0.000 0.500 0.500 [2 per cell]
Ir 0.250 0.250 0.500 [4 per cell]
C 0.000 0.000 0.500 [2 per cell]
Br 0.000 0.000 0.000 [2 per cell]
Br 0.250 0.250 0.000 [4 per cell]

Values from the calculation:
Calculated volume: 903.9 Å³/cell
Fermi-level density of states: 0.66 states/eV/atom
Theoretical density: 7.3 g cm⁻³
Uncorrected energy: -6.09 eV per atom



DFT (PBE-GGA) results for an optimized crystal structure of Nd4IrCBr2.

Cell: 7.160 3.965 7.859 Å, 90.00 106.48 90.00°
Space group P2/m (No. 10)
Inequivalent atoms, fractional coordinates:
Nd 0.212 0.000 0.182 [2 per cell]
Nd 0.247 0.500 0.809 [2 per cell]
Ir 0.500 0.000 0.000 [1 per cell]
C 0.000 0.500 0.000 [1 per cell]
Br 0.000 0.000 0.500 [1 per cell]
Br 0.500 0.500 0.500 [1 per cell]

Values from the calculation:
Calculated volume: 213.9 Å³/cell
Fermi-level density of states: 0.76 states/eV/atom
Theoretical density: 7.3 g cm⁻³
Uncorrected energy: -5.96 eV per atom



- What is the uncorrected energy in the first record?
  -6.13 eV per atom



- Number 1 is which compound?
  La4IrCBr2
____________
The calculated crystals stop here.

Yes, apples are a highly nutritious treat for dogs. They’re low-calorie, a bountiful source for nutrients vital to canine health, and they’re even good for your pup’s teeth and breath.
Apples contain the following beneficial nutrients:
- Vitamin C, or ascorbic acid, is a powerful antioxidant that defends both human and dog from harmful free radicals. Just one apple provides a human being with 10% of their daily recommended dose;
- Additional Antioxidants, such as quercetin, catechin, and chlorogenic acid, also support brain and muscle function with anti-inflammatory effects;
- Fiber serves to lower blood sugar levels, while nourishing good bacteria for strong digestive health;
- Carbs & Potassium are also present in large quantities, providing much-needed energy and heart-support;
While apples are a superb source for these nutrients, they will not suffice as a stand-alone dietary supplement. If your dog is in need of such a supplement for medical reasons, you’ll want to go with something engineered for canines and veterinarian-recommended.
Additionally, one apple does contain approximately 19 grams of sugar. So, moderation is absolutely necessary. A couple of slices, a homemade dog treat, or some chopped cubes, once a day, is more than enough. And you can even keep the skin on!
Can Dogs Eat Apples With Skin?

Yes, dogs can eat apples with skin (or peel). The waxy exterior of an apple, or its peel, is actually very fiber rich. So, it’s not only safe for your dog to consume, it packs a nutrient punch. However, an excessive amount of peel could potentially get stuck in your dog’s teeth. And not even us humans enjoy that.
It’s generally recommended to thoroughly wash all fruit you feed to your dog, especially if they’ll be consuming the outer layer. We also recommend buying organic, to limit your dog’s exposure to harmful pesticides (as well as your own!).
What Kind of Apples Can Dogs Have?

== Records of crystals, kept here for reference ==
/*
Computed, not measured: an optimized crystal structure of FeNi3Sn2P6O24 at the PBE with a Hubbard U level of DFT.

Cell and atoms, written as POSCAR:
```
FeNi3Sn2P6O24
1.0
4.345 2.509 6.879
-4.345 2.509 6.879
0.000 -5.017 6.879
Fe Ni Sn P O
1 3 2 6 24
Cartesian
0.000 0.000 0.000 Fe
0.000 0.000 6.117 Ni
0.000 0.000 10.376 Ni
0.000 0.000 16.427 Ni
0.000 0.000 3.101 Sn
0.000 0.000 13.414 Sn
-2.580 -0.003 8.237 P
-1.769 -2.498 11.667 P
1.293 -2.232 8.237 P
-1.279 2.781 11.667 P
1.287 2.236 8.237 P
3.048 -0.283 11.667 P
-2.575 -2.354 10.405 O
-0.677 -1.345 4.583 O
-3.540 1.270 8.439 O
-1.774 0.076 6.971 O
-2.619 -2.606 12.928 O
-0.826 1.259 4.583 O
0.670 -3.701 8.439 O
-1.780 -0.093 9.512 O
0.821 -1.574 6.971 O
1.503 0.086 4.583 O
-0.785 -1.285 11.928 O
0.970 -1.495 9.512 O
0.953 1.498 6.971 O
-1.503 -0.006 14.906 O
-0.720 1.323 11.928 O
-0.752 3.407 10.405 O
0.809 1.588 9.512 O
0.757 -1.298 14.906 O
1.505 -0.038 11.928 O
-0.947 3.571 12.928 O
3.326 -1.053 10.405 O
0.746 1.305 14.906 O
2.870 2.431 8.439 O
3.566 -0.965 12.928 O
```

Output
Total DFT energy (no corrections): -6.59 eV per atom
Total magnetic moment: 9.77 Bohr magnetons per cell
Density: 3.84 g cm⁻³


[1]
Density functional theory data (PBE) for a relaxed Tm4Zn5Ga2 crystal.

```
Tm4Zn5Ga2
1.0
3.6835 0.0000 0.0000
0.0000 7.0204 0.0921
0.0000 -0.5617 8.8518
Tm Zn Ga
4 5 2
direct
0.5000 0.7345 0.5718
0.5000 0.1848 0.8759
0.5000 0.2655 0.4282
0.5000 0.8152 0.1241
0.0000 0.5590 0.3028
0.0000 0.1846 0.1494
0.0000 0.5000 0.0000
0.0000 0.8154 0.8506
0.0000 0.4410 0.6972
0.0000 0.0613 0.6359
0.0000 0.9387 0.3641
```

Values from the calculation:
Final energy = -3.10 eV/atom
Energy of formation = -345 meV per atom

[2]
Density functional theory data (PBE) for a relaxed Sr2HfCdTe crystal.

```
Sr2HfCdTe
1.0
6.1469 0.0000 0.0000
0.0000 5.6235 0.0000
0.0000 0.0000 6.1469
Sr Te Hf Cd
2 1 1 1
direct
0.0000 0.0000 0.5000
0.5000 0.0000 0.0000
0.0000 0.0000 0.0000
0.5000 0.5000 0.5000
0.0000 0.5000 0.0000
```

Values from the calculation:
Final energy = -2.98 eV/atom

Question: Look up the final energy of the second one.
Answer: -2.98 eV/atom

Question: Which of these has the lowest final energy?
Answer: Tm4Zn5Ga2
*/
== The records of crystals stop here ==

Can dogs eat green apples? How about fuji? Or pink ladies? Yes, dogs can eat green apples and every other kind. However, not all flavors of apples are enjoyed by every dog. Green apples, for instance, are quite tart. Your dog may prefer the sweeter varietals of apple, like a pink lady, or even a more standard red apple.
Sometimes dogs really enjoy green apples as mix-ins for their food, so keep this in mind. Shred an apple with peeler or grater, and then mix it in with their regular dog food as a special treat.
What About Caramel Apples, or Applesauce?

Crystal structures from another source follow =
-- begin --
[1]
The following is a DFT calculation (SCAN) of a PBEsol-optimized structure of Ta2BeZn.

Cell and atoms, written as CIF:
```
data_Ta2BeZn
_cell_length_a 4.4072
_cell_length_b 4.4072
_cell_length_c 4.4072
_cell_angle_alpha 60.00
_cell_angle_beta 60.00
_cell_angle_gamma 60.00
_space_group_name_H-M_alt 'P 1'
_space_group_IT_number 1
loop_
_space_group_symop_operation_xyz
'x,y,z'
loop_
_atom_site_label
_atom_site_fract_x
_atom_site_fract_y
_atom_site_fract_z
Be1 0.5000 0.5000 0.5000
Ta1 0.0000 0.0000 0.0000
Ta2 0.7500 0.7500 0.7500
Zn1 0.2500 0.2500 0.2500
```

Computed properties:
- Final energy: -37.296 eV per atom
- E_form: 0.463 eV/atom
- Crystal system: cubic
- Offset from the most stable computed form: 0.470 eV per atom



[2]
The following is a DFT calculation (SCAN) of a PBEsol-optimized structure of Na3CaB.

Cell and atoms, written as CIF:
```
data_Na3CaB
_cell_length_a 5.2171
_cell_length_b 5.2171
_cell_length_c 5.2171
_cell_angle_alpha 90.00
_cell_angle_beta 90.00
_cell_angle_gamma 90.00
_space_group_name_H-M_alt 'P 1'
_space_group_IT_number 1
loop_
_space_group_symop_operation_xyz
'x,y,z'
loop_
_atom_site_label
_atom_site_fract_x
_atom_site_fract_y
_atom_site_fract_z
Na1 0.0000 0.0000 0.5000
Na2 0.5000 0.0000 0.0000
Na3 0.0000 0.5000 0.0000
B1 0.0000 0.0000 0.0000
Ca1 0.5000 0.5000 0.5000
```

Computed properties:
- Final energy: -5.255 eV per atom
- E_form: 0.693 eV/atom
- Crystal system: cubic
- Offset from the most stable computed form: 0.000 eV per atom



[3]
The following is a DFT calculation (SCAN) of a PBEsol-optimized structure of HfZr2Ta.

Cell and atoms, written as CIF:
```
data_HfZr2Ta
_cell_length_a 4.8659
_cell_length_b 4.8659
_cell_length_c 4.8659
_cell_angle_alpha 60.00
_cell_angle_beta 60.00
_cell_angle_gamma 60.00
_space_group_name_H-M_alt 'P 1'
_space_group_IT_number 1
loop_
_space_group_symop_operation_xyz
'x,y,z'
loop_
_atom_site_label
_atom_site_fract_x
_atom_site_fract_y
_atom_site_fract_z
Ta1 0.5000 0.5000 0.5000
Zr1 0.7500 0.7500 0.7500
Zr2 0.2500 0.2500 0.2500
Hf1 0.0000 0.0000 0.0000
```

Computed properties:
- Final energy: -47.485 eV per atom
- E_form: 0.179 eV/atom
- Crystal system: cubic

----------

Sr2DyFe2O6 (PBE+U, optimized geometry); SG = R-3m, No. 166; total energy = -74.0 eV/cell; V = 183.6 Å³ per cell; magnetization = 9.0 μB per formula unit
1.0
-2.5114 3.1246 -4.5514
1.2742 -1.4607 -5.7470
-4.8635 -3.1054 -3.4894
Fe O Dy Sr
2 6 1 2
Direct
0.5735 0.5735 0.2796
0.4265 0.4265 0.7204
0.2469 0.7738 0.7325
0.7531 0.7531 0.2675
0.7738 0.2469 0.7325
0.2469 0.2469 0.7325
0.7531 0.2262 0.2675
0.2262 0.7531 0.2675
0.0000 0.0000 0.0000
0.1995 0.1995 0.4014
0.8005 0.8005 0.5986

----------

# 1
A geometry-optimized BeNiAgPb structure, computed with GGA-PBE.

Unit cell a=6.3498 b=6.3498 c=6.3498 alpha=90.00 beta=90.00 gamma=90.00
Closest atoms and distances in Å follow each position.
Space group F-43m (No. 216)
One atom of each set of equivalent atoms:
-- stop --

No, dogs should not consume caramel apples or sweetened and/or spiced applesauce. Both of these, as well as other tasty apple concoctions like apple pie, have too much sugar for dogs. Additionally, these derivatives usually have greatly reduced fiber-content, eliminating one of the apple’s most beneficial nutrients.
Caramel, as we know, is entirely sugar. And applesauce is often made with nutmeg, which is toxic for dogs. However, an unsweetened variety of applesauce, without any dangerous spices or additives, is okay.
Unfortunately, diabetes is prevalent in canines and consuming the concentrated sugar in these foods is asking for trouble. Not to mention, it’s a very expensive ailment for you to treat and is life-long.
- Diabetes Insipidus & Diabetes Mellitus In Dogs
- Chronic Mouth Inflammation and Ulcers in Dogs
- Magnesium Deficiency in Dogs
How to Safely Give Apples to Your Dog

Simple, but diligent, preparation ensures the safe feeding of apples for a dog.
- To start, thoroughly wash any store-bought fruit;
- Then, slice the apple open and fully remove the core and seeds. Apple seeds contain small amounts of cyanide, which can cause serious harm to a small dog, and can certainly cause discomfort for a larger breed. Removing the core also ensures that there’s nothing for your dog to choke on;
- Cut the apple into small, thin slices or cubes;
Additionally, be mindful of how much apple you’re giving to your dog. All human foods should be given in moderation, with the size of the dog fully considered.
- 20lbs (and under): 1-2 pieces daily, under 1/2 inch pieces;
- 30lbs (and under): 2-3 pieces, under 1 inch pieces;
- 50lbs (and under): 5-6 pieces, under 1 inch pieces;
- 90lbs (and under): small handful, under 1 inch pieces;
- 90lbs+: large handful, under 1 inch pieces;
If your dog happens to get into your apple supply, or gets into a batch of fallen apples from a tree, keep close watch. As mentioned, apple seeds contain cyanide. This toxin blocks the cells from needed oxygen, which can cause heart and brain malfunction. If your dog shows any of the following symptoms, call the Pet Poison Hotline.
- Loss of Consciousness;
- Erratic or Slowed Heartbeat;
- Red-Tinted Mucus Within Mouth/Nose;
- Nausea, Vomiting, or Convulsions;
- Difficulty Breathing & Dilated Pupils;
Apple Homemade Dog Treats

Instead of giving your pup those sugar-laden apple foods, try making homemade dog treats with apple. There are a wealth of recipes out there for dog lovers, but here are a few of our absolute favorites.
- Apple Frozen Yogurt Doggy Pops: Apple pieces blended with a sugar and xylitol-free yogurt, frozen into a popsicle tray, makes for a delightful dog-safe frozen treat. Try it here;
- Apple Doggy Smoothie: Blend apples with other DogTime-approved fruits like strawberries or bananas to freshen up that doggy bowl. Try it here;
- Frozen Stuffed Apple KONG: Or, take that smoothie concoction and freeze it inside of your dog’s favorite KONG toy. This is an especially fun treat for your dog on a hot summer day. Try it here;
- DIY Dehydrated Apple Snaps: Store-bought apple chips usually come with a load of additives, preservatives, and extra sugar content. DIY them instead! With a dehydrator, make your own healthy apply snap treats. Try it here;